Please start at the top of the contents further below and quote each line, ending with the one that has "0.250 0.250".

Below is a geometry-optimized Li3V4O7F5 structure, with properties calculated at the GGA-PBEsol level.

Summary:
DFT total energy, eV/cell: -139.48
Raw formation energy, meV/atom: -2561

```
data_Li3V4O7F5
_cell_length_a 5.0372
_cell_length_b 5.2242
_cell_length_c 8.6380
_cell_angle_alpha 73.39
_cell_angle_beta 89.15
_cell_angle_gamma 62.76
_symmetry_space_group_name_H-M 'P 1'
_symmetry_Int_Tables_number 1
_symmetry_space_group_name_Hall 'P 1'
loop_
_atom_site_label
_atom_site_type_symbol
_atom_site_fract_x
_atom_site_fract_y
_atom_site_fract_z
Li1 Li 0.5279 0.9221 0.8426
Li2 Li 0.0757 0.8539 0.3528
Li3 Li 0.2905 0.4024 0.1018
V1 V 0.5248 0.9992 0.4984
V2 V 0.9260 0.0379 0.0022
V3 V 0.2117 0.5824 0.7410
V4 V 0.7625 0.4835 0.2381
O1 O 0.9401 0.7456 0.1816
O2 O 0.4240 0.7647 0.6780
O3 O 0.5536 0.2582 0.9362
O4 O 0.0041 0.2386 0.1226
O5 O 0.0028 0.7677 0.8786
O6 O 0.9267 0.7695 0.5736
O7 O 0.5895 0.2498 0.3227
F1 F 0.4756 0.2561 0.6348
F2 F 0.0782 0.2448 0.4270
F3 F 0.4456 0.7380 0.0554
F4 F 0.0879 0.2414 0.8251
F5 F 0.4954 0.7587 0.3685
```

* * * * *

Computed, not measured: K2MnCrS4 after structural relaxation at the GGA-PBE level of DFT.

The structure in POSCAR format:
```
K2MnCrS4
1.0
7.813 -0.080 -0.054
-0.086 7.813 -0.054
-3.791 -3.793 5.522
K Mn Cr S
4 2 2 8
direct
0.500 0.000 0.000
0.500 0.000 0.500
0.000 0.000 0.500
0.500 0.500 0.000
0.500 0.500 0.500
0.000 0.000 0.000
0.000 0.500 0.000
0.000 0.500 0.500
0.188 0.716 0.952
0.784 0.312 0.548
0.216 0.688 0.452
0.812 0.284 0.048
0.777 0.723 0.955
0.777 0.723 0.545
0.223 0.277 0.455
0.223 0.277 0.045
```

Space-group type: Imma
ΔE_f (raw) (eV/atom): -0.771
Crystal system: orthorhombic
Total DFT energy (no corrections) (eV per atom): -5.459
Total magnetic moment (Bohr magnetons per cell): 14.0

* * * * *

A relaxed structure of FeCuOs2. Source: the Alexandria database, functional PBE.

a = 4.9267 Å, b = 4.9267 Å, c = 4.9267 Å
α = 144.95°, β = 129.89°, γ = 62.62°
Closest atoms and distances in Å follow each position.
Positions (direct):
Fe 0.0000 0.0000 0.0000  2 Cu 2.46, 6 Os 2.56-2.57
Cu 0.7669 0.2669 0.5000  2 Fe 2.46, 6 Os 2.56-2.61
Os 0.2499 0.7499 0.5000  4 Cu 2.56, 2 Fe 2.57, 2 Os 2.66
Os 0.5120 0.5120 0.0000  4 Fe 2.56, 2 Cu 2.61, 2 Os 2.66

Output
* formation energy from the elements: 1.31 eV per formula unit
* symmetry: Imm2, No. 44
* raw total energy: -33.7 eV for the cell shown



A relaxed structure of TlCo3B. Source: the Alexandria database, functional PBE.

a = 4.8172 Å, b = 4.8172 Å, c = 4.8172 Å
α = 90.00°, β = 90.00°, γ = 90.00°
Closest atoms and distances in Å follow each position.
Positions (direct):
Tl 0.0000 0.0000 0.0000  6 Co 2.41
Co 0.0000 0.0000 0.5000  2 Tl 2.41
Co 0.0000 0.5000 0.0000  2 Tl 2.41
Co 0.5000 0.0000 0.0000  2 Tl 2.41
B 0.5000 0.5000 0.5000  12 Co 3.41

Output
* formation energy from the elements: 12.83 eV per formula unit
* symmetry: Pm-3m, No. 221
* raw total energy: -17.5 eV for the cell shown



A relaxed structure of NaMnHg2. Source: the Alexandria database, functional PBE.

a = 10.1509 Å, b = 10.1509 Å, c = 10.1509 Å
α = 153.61°, β = 153.61°, γ = 37.67°
Closest atoms and distances in Å follow each position.
Positions (direct):
Na 0.0000 0.0000 0.0000  4 Hg 2.97, 4 Mn 3.28
Na 0.7500 0.2500 0.5000  4 Hg 2.97, 4 Mn 3.28
Mn 0.2500 0.7500 0.5000  4 Hg 2.86
Mn 0.5000 0.5000 0.0000  4 Hg 2.86
Hg 0.1547 0.6250 0.0297  2 Mn 2.86, 2 Na 2.97, 2 Hg 3.09
Hg 0.3750 0.4047 0.5297  2 Mn 2.86, 2 Na 2.97, 2 Hg 3.09
Hg 0.5953 0.1250 0.9703  2 Mn 2.86, 2 Na 2.97, 2 Hg 3.09
Hg 0.8750 0.8453 0.4703  2 Mn 2.86, 2 Na 2.97, 2 Hg 3.09

Output
* formation energy from the elements: 1.45 eV per formula unit
* symmetry: I-42d, No. 122
* raw total energy: -19.3 eV for the cell shown

* * * * *

[1]
VASP calculation (PBE) on a relaxed TiGaReMo crystal.

abc: 4.431 4.431 4.431
angles: 60.00 60.00 60.00
Positions (direct):
1 Ti 0.000 0.000 0.000
2 Ga 0.750 0.750 0.750
3 Re 0.250 0.250 0.250
4 Mo 0.500 0.500 0.500

Computed properties:

Below is a geometry-optimized Li3V4O7F5 structure, with properties calculated at the GGA-PBEsol level.

Summary:
DFT total energy, eV/cell: -139.48
Raw formation energy, meV/atom: -2561

```
data_Li3V4O7F5
_cell_length_a 5.0372
_cell_length_b 5.2242
_cell_length_c 8.6380
_cell_angle_alpha 73.39
_cell_angle_beta 89.15
_cell_angle_gamma 62.76
_symmetry_space_group_name_H-M 'P 1'
_symmetry_Int_Tables_number 1
_symmetry_space_group_name_Hall 'P 1'
loop_
_atom_site_label
_atom_site_type_symbol
_atom_site_fract_x
_atom_site_fract_y
_atom_site_fract_z
Li1 Li 0.5279 0.9221 0.8426
Li2 Li 0.0757 0.8539 0.3528
Li3 Li 0.2905 0.4024 0.1018
V1 V 0.5248 0.9992 0.4984
V2 V 0.9260 0.0379 0.0022
V3 V 0.2117 0.5824 0.7410
V4 V 0.7625 0.4835 0.2381
O1 O 0.9401 0.7456 0.1816
O2 O 0.4240 0.7647 0.6780
O3 O 0.5536 0.2582 0.9362
O4 O 0.0041 0.2386 0.1226
O5 O 0.0028 0.7677 0.8786
O6 O 0.9267 0.7695 0.5736
O7 O 0.5895 0.2498 0.3227
F1 F 0.4756 0.2561 0.6348
F2 F 0.0782 0.2448 0.4270
F3 F 0.4456 0.7380 0.0554
F4 F 0.0879 0.2414 0.8251
F5 F 0.4954 0.7587 0.3685
```

* * * * *

Computed, not measured: K2MnCrS4 after structural relaxation at the GGA-PBE level of DFT.

The structure in POSCAR format:
```
K2MnCrS4
1.0
7.813 -0.080 -0.054
-0.086 7.813 -0.054
-3.791 -3.793 5.522
K Mn Cr S
4 2 2 8
direct
0.500 0.000 0.000
0.500 0.000 0.500
0.000 0.000 0.500
0.500 0.500 0.000
0.500 0.500 0.500
0.000 0.000 0.000
0.000 0.500 0.000
0.000 0.500 0.500
0.188 0.716 0.952
0.784 0.312 0.548
0.216 0.688 0.452
0.812 0.284 0.048
0.777 0.723 0.955
0.777 0.723 0.545
0.223 0.277 0.455
0.223 0.277 0.045
```

Space-group type: Imma
ΔE_f (raw) (eV/atom): -0.771
Crystal system: orthorhombic
Total DFT energy (no corrections) (eV per atom): -5.459
Total magnetic moment (Bohr magnetons per cell): 14.0

* * * * *

A relaxed structure of FeCuOs2. Source: the Alexandria database, functional PBE.

a = 4.9267 Å, b = 4.9267 Å, c = 4.9267 Å
α = 144.95°, β = 129.89°, γ = 62.62°
Closest atoms and distances in Å follow each position.
Positions (direct):
Fe 0.0000 0.0000 0.0000  2 Cu 2.46, 6 Os 2.56-2.57
Cu 0.7669 0.2669 0.5000  2 Fe 2.46, 6 Os 2.56-2.61
Os 0.2499 0.7499 0.5000  4 Cu 2.56, 2 Fe 2.57, 2 Os 2.66
Os 0.5120 0.5120 0.0000  4 Fe 2.56, 2 Cu 2.61, 2 Os 2.66

Output
* formation energy from the elements: 1.31 eV per formula unit
* symmetry: Imm2, No. 44
* raw total energy: -33.7 eV for the cell shown



A relaxed structure of TlCo3B. Source: the Alexandria database, functional PBE.

a = 4.8172 Å, b = 4.8172 Å, c = 4.8172 Å
α = 90.00°, β = 90.00°, γ = 90.00°
Closest atoms and distances in Å follow each position.
Positions (direct):
Tl 0.0000 0.0000 0.0000  6 Co 2.41
Co 0.0000 0.0000 0.5000  2 Tl 2.41
Co 0.0000 0.5000 0.0000  2 Tl 2.41
Co 0.5000 0.0000 0.0000  2 Tl 2.41
B 0.5000 0.5000 0.5000  12 Co 3.41

Output
* formation energy from the elements: 12.83 eV per formula unit
* symmetry: Pm-3m, No. 221
* raw total energy: -17.5 eV for the cell shown



A relaxed structure of NaMnHg2. Source: the Alexandria database, functional PBE.

a = 10.1509 Å, b = 10.1509 Å, c = 10.1509 Å
α = 153.61°, β = 153.61°, γ = 37.67°
Closest atoms and distances in Å follow each position.
Positions (direct):
Na 0.0000 0.0000 0.0000  4 Hg 2.97, 4 Mn 3.28
Na 0.7500 0.2500 0.5000  4 Hg 2.97, 4 Mn 3.28
Mn 0.2500 0.7500 0.5000  4 Hg 2.86
Mn 0.5000 0.5000 0.0000  4 Hg 2.86
Hg 0.1547 0.6250 0.0297  2 Mn 2.86, 2 Na 2.97, 2 Hg 3.09
Hg 0.3750 0.4047 0.5297  2 Mn 2.86, 2 Na 2.97, 2 Hg 3.09
Hg 0.5953 0.1250 0.9703  2 Mn 2.86, 2 Na 2.97, 2 Hg 3.09
Hg 0.8750 0.8453 0.4703  2 Mn 2.86, 2 Na 2.97, 2 Hg 3.09

Output
* formation energy from the elements: 1.45 eV per formula unit
* symmetry: I-42d, No. 122
* raw total energy: -19.3 eV for the cell shown

* * * * *

[1]
VASP calculation (PBE) on a relaxed TiGaReMo crystal.

abc: 4.431 4.431 4.431
angles: 60.00 60.00 60.00
Positions (direct):
1 Ti 0.000 0.000 0.000
2 Ga 0.750 0.750 0.750
3 Re 0.250 0.250 0.250